**Source**
'''
Computed powder diffractogram of Ba2Nb6Te2O21 for CuKα, from DFT lattice parameters and positions (PBE).
Intensities are scaled so that the largest is 1000.

Most intense lines, 10 to 90 degrees two-theta, in order of rising 2θ:
Position (°2θ)  intensity
19.91  197
24.61  866
24.92  1000
26.25  597
27.47  395
30.69  694
30.92  586
31.44  566
41.00  296
44.07  373
52.56  295
53.91  225

Atomic structure:
```
31
Lattice="8.4845 -2.8916 0.0000 8.4845 2.8916 0.0000 -1.1709 0.0000 9.7605" Properties=species:S:1:pos:R:3 pbc="T T T"
Ba 2.3485 0.0000 0.2802
Ba 13.4496 0.0000 9.4803
Nb 1.1735 0.0000 4.0409
Nb 5.0996 0.0000 3.2402
Nb 7.1837 0.0000 8.1754
Nb 8.6144 0.0000 1.5852
Nb 10.6985 0.0000 6.5204
Nb 14.6246 0.0000 5.7196
Te 3.7692 0.0000 7.3136
Te 12.0288 0.0000 2.4469
O -0.5855 0.0000 4.8803
O 4.5881 1.5013 1.6470
O 5.4991 1.4505 4.3632
O 6.5368 1.4991 7.0350
O 3.1408 0.0000 3.4102
O 8.4845 1.2853 0.0000
O 9.2613 1.4991 2.7255
O 5.0240 0.0000 8.7430
O 10.2990 1.4505 5.3973
O 6.8413 0.0000 2.1616
O 11.2100 1.5013 8.1135
O 4.5881 -1.5013 1.6470
O 8.9568 0.0000 7.5989
O 5.4991 -1.4505 4.3632
O 10.7741 0.0000 1.0175
O 6.5368 -1.4991 7.0350
O 8.4845 -1.2853 0.0000
O 12.6573 0.0000 6.3503
O 9.2613 -1.4991 2.7255
O 10.2990 -1.4505 5.3973
O 11.2100 -1.5013 8.1135
```

* * * * *

Record 1
This entry pairs a crystal structure of AlSi with its calculated X-ray powder pattern. Radiation: Cu Kα (weighted mean of Kα1 and Kα2). Structure: a PBE-relaxed structure.
Intensities are scaled so that the largest is 100.

```
data_AlSi
_symmetry_space_group_name_H-M 'P 1'
_symmetry_Int_Tables_number 1
_symmetry_space_group_name_Hall 'P 1'
_cell_length_a 12.2019
_cell_length_b 4.2414
_cell_length_c 4.6875
_cell_angle_alpha 90.00
_cell_angle_beta 90.00
_cell_angle_gamma 90.00
loop_
_atom_site_label
_atom_site_type_symbol
_atom_site_fract_x
_atom_site_fract_y
_atom_site_fract_z
Al1 Al 0.0000 0.0509 0.0000
Al2 Al 0.1819 0.4091 0.4255
Al3 Al 0.3181 0.5909 0.9255
Al4 Al 0.5000 0.9491 0.5000
Al5 Al 0.6819 0.5909 0.9255
Al6 Al 0.8181 0.4091 0.4255
Si1 Si 0.0000 0.5624 0.2847
Si2 Si 0.2033 0.0908 0.8924
Si3 Si 0.2967 0.9092 0.3924
Si4 Si 0.5000 0.4376 0.7847
Si5 Si 0.7033 0.9092 0.3924
Si6 Si 0.7967 0.0908 0.8924
```

Largest 10 diffraction maxima, low angle first, 10° ≤ 2θ ≤ 90°:
- 14.52°, d = 6.101 Å, rel. 18
- 20.29°, d = 4.376 Å, rel. 20
- 29.07°, d = 3.072 Å, rel. 16
- 29.32°, d = 3.046 Å, rel. 100
- 30.45°, d = 2.936 Å, rel. 20
- 38.41°, d = 2.344 Å, rel. 25
- 41.25°, d = 2.188 Å, rel. 19
- 47.03°, d = 1.932 Å, rel. 20
- 47.14°, d = 1.928 Å, rel. 60
- 49.48°, d = 1.842 Å, rel. 21


Record 2
This entry pairs a crystal structure of Sr4In13Au9 with its calculated X-ray powder pattern. Radiation: Cu Kα (weighted mean of Kα1 and Kα2). Structure: a PBE-relaxed structure.
Intensities are scaled so that the largest is 100.

```
data_Sr4In13Au9
_symmetry_space_group_name_H-M 'P 1'
_symmetry_Int_Tables_number 1
_symmetry_space_group_name_Hall 'P 1'
_cell_length_a 12.9679
_cell_length_b 12.9679
_cell_length_c 4.4575
_cell_angle_alpha 90.00
_cell_angle_beta 90.00
_cell_angle_gamma 120.00
loop_
_atom_site_label
_atom_site_type_symbol
_atom_site_fract_x
_atom_site_fract_y
_atom_site_fract_z
Sr1 Sr 0.0000 0.0000 0.0000
Sr2 Sr 0.5414 0.0829 0.5000
Sr3 Sr 0.5414 0.4586 0.5000
Sr4 Sr 0.9171 0.4586 0.5000
In1 In 0.0388 0.3250 0.0000
In2 In 0.0388 0.7138 0.0000
In3 In 0.2504 0.5008 0.5000
In4 In 0.2504 0.7496 0.5000
In5 In 0.2692 0.1346 0.5000
In6 In 0.2862 0.3250 0.0000
In7 In 0.2862 0.9612 0.0000
In8 In 0.4992 0.7496 0.5000
In9 In 0.6667 0.3333 0.0000
In10 In 0.6750 0.7138 0.0000
In11 In 0.6750 0.9612 0.0000
In12 In 0.8654 0.1346 0.5000
In13 In 0.8654 0.7308 0.5000
Au1 Au 0.1182 0.2364 0.5000
Au2 Au 0.1182 0.8818 0.5000
Au3 Au 0.1561 0.5781 0.0000
Au4 Au 0.4219 0.5781 0.0000
Au5 Au 0.4219 0.8439 0.0000
Au6 Au 0.4268 0.2134 0.0000
Au7 Au 0.7636 0.8818 0.5000
Au8 Au 0.7866 0.2134 0.0000
Au9 Au 0.7866 0.5732 0.0000
```
'''

**Brief**
Find "7.1837 0.0000" and "6.5368 -1.4991" in the listing further up, and retype these two lines and those between.

**Outcome**
Nb 7.1837 0.0000 8.1754
Nb 8.6144 0.0000 1.5852
Nb 10.6985 0.0000 6.5204
Nb 14.6246 0.0000 5.7196
Te 3.7692 0.0000 7.3136
Te 12.0288 0.0000 2.4469
O -0.5855 0.0000 4.8803
O 4.5881 1.5013 1.6470
O 5.4991 1.4505 4.3632
O 6.5368 1.4991 7.0350
O 3.1408 0.0000 3.4102
O 8.4845 1.2853 0.0000
O 9.2613 1.4991 2.7255
O 5.0240 0.0000 8.7430
O 10.2990 1.4505 5.3973
O 6.8413 0.0000 2.1616
O 11.2100 1.5013 8.1135
O 4.5881 -1.5013 1.6470
O 8.9568 0.0000 7.5989
O 5.4991 -1.4505 4.3632
O 10.7741 0.0000 1.0175
O 6.5368 -1.4991 7.0350